"There's no reason to build this in Guantánamo unless you want to do things you don't think you could get away with on the U.S. mainland. It's easy to put tents in Florida. But they're putting them in Cuba. Ask yourself why."
90 senators, including Bernie Sanders, rejected Obama’s 2009 funding proposal that would’ve closed the camp. And with good reason. Obama’s move would’ve simply moved the prison onshore while continuing the indefinite detention without trial, potentially legitimizing the practice further and providing a clearer legal precedent.
Yes, he technically tried to “close Guantanamo Bay” but in a way that wouldn’t adress the actual reasons people want it closed.
“A number of important questions remain unanswered regarding the rather complicated issue of not just how you close down the facility, but what you do with the prisoners,” he said in part. “In order to answer these questions, President Obama has appointed a high-level committee of top administration officials who will be issuing a report in the coming months. I think that it is prudent to review that plan they develop before we spend $80 million in taxpayer money.”
This was issued in 2009. It’s obstructed (by the same institutions not obstructing Trump right now), and Obama slowly releases inmates over the next couple of years. What you’re linking to there is a “final” plan in 2016 to close it after the prison population of Gitmo had been reduced from 800 to 91.
A final plan that never happened because Trump took office.
And what would have happened if he did it sooner? They would have kept stalling out out? I believe no matter when he did it out would have needed approval
That first article quotes Obama trying to close it. From the sounds of it congress attached keeping the base open as a rider to another defense funding bill. That’s a common tactic I think
Who else remembers past Presidents campaigning on closing Gitmo, then dropped the subject after getting elected?
Obama signed an executive order to close it, but Congress and the legal system slowed it down.
Where is congress and the legal system now?
Oh come on you know damn well where it’s at.
in the shitter
“They go low, we go high”
Still there… proving, once again, that racism and the love of money is indeed embedded in America’s everything
90 senators, including Bernie Sanders, rejected Obama’s 2009 funding proposal that would’ve closed the camp. And with good reason. Obama’s move would’ve simply moved the prison onshore while continuing the indefinite detention without trial, potentially legitimizing the practice further and providing a clearer legal precedent.
Yes, he technically tried to “close Guantanamo Bay” but in a way that wouldn’t adress the actual reasons people want it closed.
Sanders’ statement:
“A number of important questions remain unanswered regarding the rather complicated issue of not just how you close down the facility, but what you do with the prisoners,” he said in part. “In order to answer these questions, President Obama has appointed a high-level committee of top administration officials who will be issuing a report in the coming months. I think that it is prudent to review that plan they develop before we spend $80 million in taxpayer money.”
Only took him 7ish years to get around to it though. Probably something to have done sooner?
He did start the process sooner:
This was issued in 2009. It’s obstructed (by the same institutions not obstructing Trump right now), and Obama slowly releases inmates over the next couple of years. What you’re linking to there is a “final” plan in 2016 to close it after the prison population of Gitmo had been reduced from 800 to 91.
A final plan that never happened because Trump took office.
So dems really haven’t learned anything since 2008???
(from my other reply)
Then make them be the ones to block it from being shut down. Not try to do it right before leaving office.
And maybe not sign the bill to upgrade it…
Plus not like he even closed it with his closing EO
And what would have happened if he did it sooner? They would have kept stalling out out? I believe no matter when he did it out would have needed approval
Then make them be the ones to block it from being shut down. Not try to do it right before leaving office.
____________
Record 1
# BaLiAl3P2H2O14

A geometry-optimized BaLiAl3P2H2O14 structure (GGA-PBE, the Materials Project).

```
BaLiAl3P2H2O14
1.0
5.2289 3.3076 -3.6024
-5.2308 3.3076 3.5990
0.2646 -0.0059 7.6287
Ba Li Al P H O
1 1 3 2 2 14
Cartesian
-4.9451 3.2893 11.1538 Ba
-0.2117 3.2739 6.0650 Li
0.1294 6.5845 3.6764 Al
2.7450 1.6576 1.9267 Al
2.7440 4.9124 1.9115 Al
-2.0333 3.2778 8.1450 P
2.3254 3.2756 -0.6585 P
-1.6727 3.2912 3.8171 H
2.0249 3.2929 3.6407 H
-1.5130 3.2767 1.7863 O
1.6606 3.2603 5.7662 O
-3.5773 3.2691 8.3755 O
3.8441 3.2726 -1.0389 O
-1.6421 2.0620 7.1759 O
-1.6486 4.5050 7.1873 O
2.0347 2.0221 0.2424 O
2.0337 4.5385 0.2292 O
-1.7312 3.2861 4.8082 O
2.1295 3.2876 2.6627 O
-0.7987 5.8208 5.1062 O
-0.7957 0.7500 5.0997 O
1.1090 5.8216 2.2906 O
1.1097 0.7485 2.3041 O
```

Values from the calculation:
Raw total energy, eV/atom: -6.611
Magnetic moment, μB/f.u.: 0.0
Energy above the most stable polymorph in this dataset, kcal/mol of atoms: 0.00
Calculated formation energy, eV/atom: -2.60
Space-group type: P1, No. 1

***

Record 2
# BaLiAl3P2H2O14

A geometry-optimized BaLiAl3P2H2O14 structure (GGA-PBE, the Materials Project).

```
BaLiAl3P2H2O14
1.0
1.4895 -4.9249 -5.0898
-3.3133 -1.1424 6.3321
-7.5123 2.4366 0.8677
Ba Li Al P H O
1 1 3 2 2 14
Cartesian
-6.1116 -2.3671 -3.7667 Ba
-3.5443 -1.6804 3.3550 Li
-2.2260 -3.7080 -4.6101 Al
-2.9510 -1.2729 -2.0206 Al
-3.8469 -4.2524 -1.4104 Al
-8.3092 -0.1164 4.0011 P
-0.8266 -3.5487 -1.7773 P
-5.8720 -1.2040 2.2644 H
-4.7966 -2.1409 -0.7315 H
-2.1155 -2.2965 2.4520 O
-6.9860 -1.4024 -0.3408 O
-8.3341 0.2036 5.5275 O
-0.8868 -3.8485 -3.3286 O
-7.1872 0.7510 3.3278 O
-7.8998 -1.6203 3.8133 O
-1.2476 -2.0184 -1.6159 O
-1.9755 -4.4393 -1.1201 O
-5.3792 -1.1794 3.1094 O
-3.8871 -2.4544 -0.9269 O
-6.4798 -3.5454 2.7434 O
-5.0879 1.0857 1.7952 O
-4.1165 -4.7260 0.4356 O
-2.7255 -0.0990 -0.5120 O
```

Values from the calculation:
Raw total energy, eV/atom: -6.608
Magnetic moment, μB/f.u.: 0.0
Energy above the most stable polymorph in this dataset, kcal/mol of atoms: 0.07
Calculated formation energy, eV/atom: -2.59
Space-group type: Cm, No. 8

***

Record 3
# BaLiAl3P2H2O14

A geometry-optimized BaLiAl3P2H2O14 structure (GGA-PBE, the Materials Project).

```
BaLiAl3P2H2O14
1.0
5.3838 3.3593 -3.7100
-5.2602 3.1694 3.7163
0.3243 0.0025 7.9267
Ba Li Al P H O
1 1 3 2 2 14
Cartesian
0.7416 0.5667 7.5416 Ba
-0.5770 4.7973 1.9698 Li
0.1774 0.0906 3.9508 Al
2.9300 1.7665 2.1932 Al
-2.4588 1.6529 5.8150 Al
-2.0347 3.2537 8.4327 P
2.4965 3.3664 -0.4796 P
-1.7108 3.2822 4.2149 H
2.2228 3.4302 3.8120 H
-1.5782 3.2513 1.8084 O
1.9301 3.1968 6.2538 O
-3.5751 3.2487 8.7306 O
4.0427 3.2561 -0.8472 O
-1.7150 2.0094 7.5427 O
-1.6856 4.5370 7.6063 O
2.2478 2.1755 0.5206 O
2.2510 4.6781 0.3438 O
-1.7402 3.2804 5.1910 O
2.2173 3.4030 2.8311 O
-0.6086 5.8097 5.4626 O
-0.7951 0.8169 5.3534 O
1.2180 5.8309 2.4803 O
1.1005 0.8493 2.4910 O
```

Values from the calculation:
Raw total energy, eV/atom: -6.596
Magnetic moment, μB/f.u.: 0.0
____________
## End of the calculated crystals
And maybe not sign the bill to upgrade it…
Plus not like he even closed it with his closing EO
That first article quotes Obama trying to close it. From the sounds of it congress attached keeping the base open as a rider to another defense funding bill. That’s a common tactic I think
Because it’s a very popular issue with the voting public but the voting public doesn’t have any recourse if you renege on your campaign promises.
Luigi begs to differ
I appreciate the sentiment but Brian Thompson wasn’t an elected official, let alone POTUS.